Held At Wrea Green Institute
On 13 FEBRUARY 2012 at 19.30 Hours
Present: Cllr. Mrs. J.L. Wardell (Chairman), Cllrs, J.W. Dobson, J.C. Maskell,
J.M. Molyneux, Mrs. P.A. Naylor (arrive 19.32 hours), Mrs. C.E. Wheatman, Br. Cllr. F.A. Andrews and Cty. Cllr. P. Rigby.
There was one member of the public in attendance.
1.1. Apologies: Cllrs. K.J. Lupton and Mrs. A.E. Uphill.
1.2. Declarations of Interests: Cllr. J.W. Dobson declared a personal interest in 12/123 .3 (Wrea Green Field Day), and Cllr. Mrs. C.E. Wheatman a prejudicial interest in 12/124.8 (2012 Olympic Committee) and left the room during the discussions.
12/120 The MINUTES of the Meetings of the 9 January 2012, which had previously been circulated to all councillors, were approved and signed by the Chairman.
1.Report from Community Beat Officer – CPSO Trevor Sterling advised of one reported crime since the last meeting – an attempted burglary at Ribby Avenue. There has been a person apprehended who had committed a series of burglaries in the area and it is believed also to have committed this crime. Last month PACT priorities were dog fouling and speeding. PCSO Sterling has been with the dog warden in the village during the last month and the dog warden is to continue to visit the village. PC Cross has been undertaking speed enforcement activities and a meeting has been arranged on 15 February 2012 to introduce volunteers to speed enforcement sessions which will be alongside PC Cross and PCSO Sterling. PACT priority this month is parking on pavements.
PCSO Sterling also warned of the current cash machine scam which has been discovered in Lytham, so be vigilant when withdrawing cash. The Lyndsay Greening E-mail situation has now been blocked by the police.
1. Applications:
12/0052 Ribby Hall Leisure Village
Proposed Single Storey Extension to front of Sports Centre
To Provide Extended Bar Area.
No Objection.
- 2. Greenlands Farm, Ribby Road – The Clerk advised that the Sports Stadium application will be on the FBC Development Management Committee agenda on 29 February 2012. It was RESOLVED that Cllr. Mrs. J.L. Wardell will speak on behalf of the Parish Council.
- 3. Brook Mill – Building Change of Use – Cllr. J.C. Maskell advised that
The Fox’s storage facility had been taken over by a manufacturer of polystyrene beads which had been dropping all over the village. Cllr. Maskell had approached the company and had been advised that there had been a leak in one of the trailers and this had now been repaired. The company is to arrange to sweep the road. As it was confirmed that the building did not require change of use permission it was RESOLVED that the Clerk would write to the company so that the proprietors were aware that the Council was involved.
- 4. Redrow Development at Smithy Fold – Cllr. J.W. Dobson thought that the
windows of the affordable properties were PVC not wood as required by planning. Cllr. Mrs. P.A. Naylor felt that this was not the case but would check.
Open Spaces and Greens:
1.aImprovement to Drainage on The Green – The Clerk advised that there was a problem with drainage at the South/West end near Moss Side Lane. As part of a full programme, it is recommended that £3000-00 be allocated from within the Green’s 2012/13 budget to carry out the work, or at least as much as possible for that financial commitment. It was RESOLVED that this sum would be set aside for this work.
2. Dog Fouling on The Green – The Clerk advised that as well as there being a spate of dog fouling on the village pathways there was also a problem on the main green. The head teacher of the primary school had raised this issue and the police and dog wardens had been advised. It was RESOLVED that this problem was being looked at by the dog warden but should be raised again in the next newsletter.
3.Wrea Green Field Day – Use of Green – 30 June 2012 – It was RESOLVED that the Field Day committee could have use of the Green on the same basis as previous years.
4.aClearance of Wray Crescent Garage Area of Rubbish and Weeds – The Clerk advised that at the Wray Crescent Land meeting the tenants requested that the area be tidied up. As the Council is already receiving rental income it was RESOLVED that a new Budget of £500-00 could be extended this year. It was also RESOLVED that Cllr. J.L. Wardell would contact Community Payback in the hope that that group would undertake the necessary work.
- 5. Minutes of Wray Crescent Land Meeting – 18 January 2012 (Appendix 7) –
The minutes which were previously circulated were noted.
6. Land Adjacent Crescent Play Area (12/113.2) (Appendix 8) – The minutes of the meeting of 12 January 2012, which had been circulated to all councillors prior to the meeting, were noted . Cllr. Mrs. J.L. Wardell advised that at the subsequent meeting on 8 February 2012 there was insufficient interested parties to set up a viable committee. This need is to be included in the current newsletter and the open day on 17 March is also to be advertised. If there is insufficient interest thereafter the project will be dropped.
1.Financial Budget Comparisons for the Period Ended 31 January 2012 (Appendix 2) – The Clerk presented the account position which showed that income was well in excess overall and, other than the previously reported
Joint War Memorial Committee agreed expenditure, all outgoings had been maintained within budgets, and overall was well below full budget expenditure.
The position was authorised.
2. Additional Disbursements – Wray Crescent Land Transfer – Dickson Haslam inadvertently omitted to include the costs of £62-00 for Land registry charges . It was RESOLVED that £62-00 is transferred from the Green budget to cover the additional legal costs.
Also the Annual Subscription to Navigus Planning of £50-00 is to be met from the subscriptions budget and budget adjusted by transferring £50-00 from National Conference budget.
3.1. The following cash payment was Confirmed:-
Cash Dobbies Gardg Wld Winter Tub compost £ 28-98 net £ 34-77 gr
1962 Fylde BC N.West in Bloom Presentn £ 25-00 net
1963 United Utilities Water for Allotments £ 25-72 net
1964 PS Office Services Laminating Pouches £ 15-99 net £ 19-19 gr
1965 E-On Electricity to Green £ 28-35 net £ 29-77 gr
3.2. The following were approved for payment:-
100350 HJ Gigg February Salary £436-23 net
100351 L. Weatherby February Salary £210-00 net
100352 HMRC NI & Tax February 2012 £309-84 net
100353 Dickson Haslam Legal Fees £ 62-00 net
100354 A. Burrows £103.44 net
Toilet repairs £ 62.23 net
Garage Area lighting £ 41-21 net
-- Between two parts of the entry: data records --
/*
A PBEsol-optimized structure of Ca3Ga2Fe2O10. Source: the Alexandria database, functional meta-GGA SCAN.

Summary:
Raw formation energy, meV per atom: -2275
Total DFT energy (no corrections), hartree per atom: -0.43002
Spin magnetization, μB/atom: 0.4706
ρ, g/cm³: 4.22

Cell: 5.407 5.748 13.460 Å, 88.30 90.00 90.00°
Positions (direct):
Ca 0.273 0.950 0.115
Ca 0.226 0.052 0.889
Ca 0.229 0.032 0.589
Ca 0.774 0.552 0.389
Ca 0.771 0.532 0.089
Ca 0.727 0.450 0.615
Ga 0.182 0.585 0.752
Ga 0.818 0.085 0.252
Ga 0.688 0.899 0.755
Ga 0.312 0.399 0.255
Fe 0.267 0.511 0.995
Fe 0.258 0.522 0.498
Fe 0.733 0.011 0.495
Fe 0.742 0.022 0.998
O 0.154 0.121 0.252
O 0.958 0.237 0.481
O 0.042 0.737 0.981
O 0.283 0.433 0.865
O 0.514 0.791 0.983
O 0.486 0.264 0.023
O 0.486 0.291 0.483
O 0.728 0.918 0.141
O 0.659 0.375 0.246
O 0.846 0.621 0.752
O 0.514 0.764 0.523
O 0.230 0.559 0.137
O 0.272 0.418 0.641
O 0.341 0.875 0.746
O 0.006 0.713 0.524
O 0.717 0.933 0.365
O 0.786 0.067 0.862
O 0.994 0.213 0.024
O 0.214 0.567 0.362
O 0.770 0.059 0.637
*/
100355 J.M. Services (NW) Christmas Tree Installatn. £388.50 net £466-20 gr
100356 Navigus Planning Annual Subscription £ 50-00 net
100357 West Wind Moves Web Site Domain £ 18-71 net £ 22-45 gr
100358 HJ Gigg Computer Cartridges £ 27-48 net £ 32-97 gr
100359 LBKVC Entry Fee 2012 £ 20-00 net
100360 Zurich Mgt. Servics Annual Subscription £ 95-00 net £114-00 gr 100361 Lancs.Playg,Field A Annual Subscription £15-00 net
It was RESOLVED that in pursuance of the powers conferred in section 137 LGA 1972 (as amended) and being that the expenditure covered in respect of the Lancashire Best Kept Village Competition satisfies the requirements of that section.
4. Standing Order Review (Appendix 3) – It was RESOLVED that the existing standing orders remained appropriate.
5.Parish Council’s Policy Document Review (Appendix 4) – It was RESOLVED that this document still applied.
- 6. Risk Assessment Documents Review –(Appendix 5) – It was RESOLVED
that these documents were still pertinent.
- 7. Appointment of Internal Auditor and Terms of Agreement 2012/13
(Appendix 6) – It was RESOLVED that Alan Crawshay Greening should
continue as internal auditor. It was also RESOLVED that the Terms of Agreement Letter was appropriate.
- 8. Grant to 2012 Olympic Committee re Family Fun Day – The Clerk advised that the Olympic Committee had received promises of £375-00 above the cost of the fun day. It was RESOLVED that as the £500-00 was in the 2012/13 budget this amount should still be given to the organisation.
- 9. Engraving the Chairman’s Jewel – It was RESOLVED that the Clerk would arrange for the engraving going back to when Arthur Naylor was Chairman.
1.1. Lancashire County Councillor Report – Cty. Cllr. P. Rigby advised that he had nothing to report other than he had followed up the faulty street lamp on Ribby Road and it was now working. Cllr. J.W. Dobson advised that the dangerous water leak on the Station Road bridge had been repaired.
1.2. Fylde Borough Councillor Report – Cllr. Andrews advised that Allan Oldfield was vising the ward on 16 March 2012 meeting at 14 St. Nicholas Grove at 9.30 a.m. It was agreed that Cllrs. J.W. Dobson and K.J. Lupton would accompany Mr. Oldfield and the ward councillor.
Fylde Borough Council (FBC) was concerned and looking into the situation that there were too many charity shops which was resulting in unfair trading of normal businesses.
A coach was being arranged by Sarah Greensmith on 29 February to take villagers to the FBC Development Management meeting re the Greenlands Farm planning application.
Cuadrilla is undertaking a fracking survey at the end of February and there are three local meetings arranged to outline the process.
Cllr. Andrews reminded councillors that the Wrea Green website was there to be used. Owen Gigg had introduced a link for a Wrea green business members’ network.
There was currently a pilot tarmacking scheme on Manor Way footpaths and Cllr. Andrews was asked to ascertain whether there would be any extension of this project.
2. Station Road Toilets Application for Fylde LSP Fund Project Grant (12/114.4) – The Clerk advised that he had submitted the application for £1000-00 towards the Phase 3 of the toilet enhancement programme of £1500-00.
- 1. Location of Waste receptacle Currently by Wray Crescent Bus Stop –The Clerk advised that following his request to ascertain whether FBC would finance a stand up waste bin one is now in situ on the village side of the bus shelter.
- 2. Entry in Lancashire Best Kept Villzage Competition – It was RESOLVED that the Council will pay the entry fee of £20-00 and enter the competition in the same categories as 2011.
- 3. The Queen’s Diamond Jubilee 2-4 June 2012 – It was RESOLVED that a family day would be organised on the main green. This would be advertised in the current newsletter. It was also RESOLVED that a Jubilee tree would be planted on the main green and VLEC would be requested to recommend the species and positioning. VLEC would also be requested to consider the extension of the wild flower area on the main green.
- 4. New Councillors’ Workshop Modules 1 & 2 – Cllr. J.C. Maskell is available on the 7 and 21 July 2012 and it was RESOLVED that the Council would pay the workshop costs.
- 5. Neighbourhood Plan Update & Programme – The meeting was opened from 20.41 hours to 20.51 hours. Westby with Plumptons Parish Council had objected to any of that parish being included in the Neighbourhood Plan but the chairman of the steering group was in discussion and hoped that this may be overturned. Following a meeting with FBC on
6 December 2011 there were now 96 pages of evidence supporting the plan. A meeting with FBC was arranged for 24 February relating to affordable housing.
- 6. Repeal of Local Government (Discretionary Payments) Regulations 1996 – The Clerk advised that this related to retirement gratuities. However, as this Council was not involved the repeal made no difference.
- 1. Ribby Road – Cllr. J.W. Dobson has raised the state of Ribby Road with Lancashire County Council and is arranging a site meeting with the LCC official(s). Cllr. P.A. Naylor advised that following her contact with LCC the depression in Ribby Road outside 3 Ribby Road is to be repaired. Cllr. J.C. Maskell advised that the railings outside the school were damaged and needed repair.
- 2. Rail Station/Halt – The Neighbourhood Plan Steering Group has removed this item from the current plan. The Clerk has been requested to contact Network Rail on this basis and it was RESOLVED that he can write to request that the facilities at Kirkham and Wesham station are improved.
12/128 CLERK’S REPORT (Appendix 1)
This document, which had previously been circulated to all councillors, was noted.
12/129 The Meeting Closed at 22.05 hours. The Next Full Meeting is on the
19 March 2012.
Cllr. J.L. Wardell 19 March 2012